President Biden celebrates Supreme Court confirmation of Ketanji Brown Jackson

**Quantum chemistry results that have nothing to do with the article**
┌──
No. 1
C18H16BrN2O6 | ωB97M-V/def2-TZVPD

```
43
Properties=species:S:1:pos:R:3
C 4.95295 -2.08652 0.09261
C 3.87612 -1.94881 -0.95239
O 2.84914 -1.09557 -0.36592
C 1.94630 -0.55960 -1.23467
C 0.99096 0.31714 -0.53210
C 0.38290 1.37987 -1.27301
C -0.00690 1.12727 -2.61166
C -0.74029 2.04705 -3.36316
C -1.04358 3.29838 -2.79795
Br -2.07493 4.52976 -3.80557
C -0.61586 3.60906 -1.48703
C 0.11000 2.67854 -0.75281
O 1.95200 -0.81700 -2.44807
H 5.42634 -3.06754 0.01700
H 5.72866 -1.32656 -0.08959
H 4.53604 -1.94574 1.09311
H 4.25579 -1.48366 -1.87453
H 3.42488 -2.91870 -1.20195
H 1.16839 0.47378 0.53478
H 0.32283 0.20596 -3.07090
H -1.05997 1.79387 -4.37291
H -0.85781 4.58329 -1.07966
H 0.52272 2.95692 0.20631
O -4.26186 1.75837 4.41735
N -4.56221 1.33642 3.27605
O -5.66994 1.57357 2.74961
C -3.59248 0.59824 2.54970
C -3.82940 0.17956 1.22394
C -2.81217 -0.41442 0.50498
C -1.52104 -0.59843 1.06449
C -0.41807 -1.16734 0.29464
C 0.56324 -1.93358 0.95106
N 1.11177 -3.00106 0.26713
O 2.13532 -3.60793 0.66926
O 0.53355 -3.31039 -0.81429
C -1.34154 -0.25615 2.43669
C -2.34361 0.37034 3.15878
H -4.82448 0.31893 0.81107
H -2.99023 -0.77217 -0.49993
H -0.61240 -1.32443 -0.76088
H 0.95817 -1.69313 1.93572
H -0.38403 -0.48496 2.93255
H -2.18527 0.67738 4.20218
```

Output
**Frontier orbital gap**: 4.86 eV
**E_HOMO**: -3.81 eV
**E**: -3830.310780 hartree
**2S+1**: 1
**Charge**: -1
**Energy above the lowest of the compared OMol25 structures with the same formula, charge and spin**: 72.7 kcal per mole



No. 2
C6H11N | ωB97M-V/def2-TZVPD

```
18
Properties=species:S:1:pos:R:3
C -1.19099 0.14576 2.24923
C 0.04063 0.75575 1.36781
C 0.29567 -0.11377 0.11726
C 0.55831 0.27255 -1.18669
C 1.01693 -0.50129 -2.32479
C 2.24860 -0.24407 -2.78371
N -2.33227 -0.24728 1.42794
H -1.64222 0.89287 2.94887
H -0.86026 -0.75050 2.78182
H 0.87484 0.86084 2.13771
H -0.42199 1.64727 0.99254
H 0.22807 -1.16016 0.45042
H 0.27853 1.31368 -1.38721
H 0.53704 -1.39735 -2.56946
H 2.86756 0.49414 -2.42530
H 2.54259 -1.13135 -3.50315
H -2.70320 0.33479 0.62797
H -2.33784 -1.17188 1.07873
```

Output
**Frontier orbital gap**: 9.89 eV
**E_HOMO**: -8.77 eV
**E**: -289.862926 hartree
**2S+1**: 1
**Energy above the lowest of the compared OMol25 structures with the same formula, charge and spin**: 68.2 kcal per mole
**SMILES**: C=C/C=C/CCN



No. 3
H16HeO8 | ωB97M-V/def2-TZVPD

```
25
Properties=species:S:1:pos:R:3
He 9.79720 -2.02017 -0.46698
O 10.00323 -4.30773 -2.48185
H 9.85682 -5.23285 -2.28448
H 10.77090 -4.06998 -1.96185
O 12.43942 -0.94314 -0.17939
H 12.48194 -0.40440 -0.96944
H 11.74009 -0.54936 0.34225
O 8.27938 -2.00115 2.70943
H 8.12047 -1.05824 2.75290
H 7.81537 -2.35790 3.46683
O 12.45523 -3.55543 -1.13443
H 12.40357 -2.72564 -0.66008
H 12.59517 -4.21304 -0.45310
O 6.71314 -0.01653 -2.46381
H 6.37817 0.22497 -3.32735
H 6.93114 -0.94528 -2.54208
O 7.36158 -2.80271 -2.48777
H 8.16620 -3.31392 -2.57433
H 7.08337 -2.94445 -1.58293
O 6.70467 -2.52731 0.30616
H 6.16694 -1.74476 0.18486
└──
**The article goes on**

President Joe Biden on Friday celebrated the confirmation of Judge Ketanji Brown Jackson as the first Black woman to reach the Supreme Court, hailing “a moment of real change in American history.”

Associated Press

Apr 8, 2022, 1:27 PM

Updated 930 days ago


President Biden celebrates Supreme Court confirmation of Ketanji Brown Jackson
President Joe Biden on Friday celebrated the confirmation of Judge Ketanji Brown Jackson as the first Black woman to reach the Supreme Court, hailing “a moment of real change in American history.”
It was a moment 46 days - and more than two centuries - in the making. Jackson, who was confirmed by the Senate on Thursday, will take the bench later this year, filling the shoes of retiring Justice Stephen Breyer on a court that was made up entirely of white men for almost two centuries, that declared her race unworthy of citizenship and endorsed American segregation.
Jackson, at times speaking through tears as she thanked her family and mentors for their support, promised to follow in retiring Justice Breyer’s footsteps on the bench.
President Joe Biden and Ketanji Brown Jackson watch as the Senate votes on her confirmation from the Roosevelt Room of the White House. (AP Photo/Susan Walsh)
“I have done my level best to stay in my lane and to reach a result that is consistent with my understanding of the law,” she said, “And with the obligation to rule independently, without fear or favor.”
Jackson’s arrival on the bench won’t upend the current 6-3 conservative balance. But in addition to the racial history, it will put for the first time four women on the court at one time.
Biden nominated her on the second anniversary of his pledge ahead of the South Carolina presidential primary to select a Black woman for the court. The move helped resurrect his flailing campaign and preserved his pathway to the White House, and Biden said the promise of putting someone like Jackson on the court helped motivate his bid for the Oval Office.
“I could see it as a day of hope, a day of promise, a day of progress, a day when once again the moral arc of the universe - as Barack (Obama) used to quote all the time - bends a little more toward justice,” Biden said at a boisterous event on the South Lawn of the White House. “I believe so strongly that we needed a court that looks like America.”
Biden praised Jackson's “incredible character and integrity” during the confirmation process, saying she put up with "verbal abuse, the anger, constant interruptions, the most vile baseless assertions and accusations.” He praised the three Republican senators who joined Democrats to back her for the court: Maine Sen. Susan Collins, Alaska Sen. Lisa Murkowski and Utah Sen. Mitt Romney.
Jackson will be the high court’s first former public defender - with the elite legal background of other justices as well. She has degrees from Harvard and Harvard Law School and held top clerkships, including for Breyer himself.
The crowd on the White House lawn included Jackson’s family, members of Biden’s Cabinet, some of the Democratic senators who backed her nomination, as well as Democratic representatives and allies. The White House said all current and former justices of the Supreme Court were invited, but none attended.
The event came amid a COVID-19 outbreak among Washington’s political class that has sidelined members of Biden’s administration and lawmakers, including Collins and Georgia Sen. Raphael Warnock, who tested positive for the virus just hours after voting for Brown’s confirmation. House Speaker Nancy Pelosi, who was on the invite list, tested positive for the virus on Thursday.
Psaki on Thursday addressed concerns that the White House event could be a “super-spreader” for the virus, like President Donald Trump’s Rose Garden ceremony announcing the nomination of now-Justice Amy Coney Barrett. Psaki emphasized that the risks from the virus are now much lower because of vaccinations and treatments.
“At that point in time, vaccines were unavailable, people were not vaccinated, it certainly puts us in a different space,” Psaki said.
While not all attendees would be newly tested for the virus, Psaki said those close to Biden would be. Vice president Kamala Harris was to attend and deliver remarks, though she was identified on Wednesday as a close contact of a staffer who tested positive. Under Centers for Disease Control and Prevention guidelines she was expected to wear a mask while around other people.
On Thursday, Jackson had joined Biden at the White House to watch the Senate vote unfold on TV, the two of them clasping hands in the Roosevelt Room as her confirmation became reality.
As a longtime Senate Judiciary Committee chairman, Biden had a front-row seat to some of the most contentious confirmation battles in the court’s history, as well as the hearings for Justice Stephen Breyer, whose retirement this summer is clearing the way for Jackson to join the bench.
"History doesn’t happen by accident - it’s made,” said White House chief of staff Ron Klain. He took note on MSNBC of the vote on Brown's nomination being presided over in the Senate by Harris, the first Black vice president, also selected by Biden.
Throughout his 50 years in Washington, Biden has played an instrumental part in shaping the court, both inside and out of the Senate. But this was his first opportunity to make a selection of his own.
Biden may not get another chance. Senate Minority Leader Mitch McConnell, in an interview Thursday with Axios, refused to commit to hold confirmation hearings for a future Biden nominee to the high court if the GOP retakes control of the Senate in 2023.
Biden took part in confirmation hearings for Supreme Court nominees Sandra Day O’Connor in 1981 and Antonin Scalia in 1986, both nominated by President Ronald Reagan. He also participated in the 1986 hearing to elevate Justice William Rehnquist to the position of chief justice of the United States.
As committee chairman, he presided over the hearings for failed nominee Robert Bork, then the successful confirmations of Anthony M. Kennedy, David Souter, and Clarence Thomas - the last dominated by allegations of sexual harassment against Thomas by law professor Anita Hill - as well as Ruth Bader Ginsburg and Breyer.
He was on the committee in 2005 but no longer chairman when now-Chief Justice John Roberts was confirmed, and in 2006 when Samuel Alito became a justice.
As vice president, Biden helped counsel President Barack Obama on his three Supreme Court picks: Sonia Sotomayor and Elena Kagan, who were confirmed, and now-Attorney General Merrick Garland, whose nomination was blocked by the GOP ahead of the 2016 presidential election.
Jackson won’t take office immediately. Breyer is to step down after the court concludes its current term, which is usually in late June or early July. Only then will she take the oath to become an associate justice. A White House official said Jackson will remain on the Court of Appeals for the District of Columbia Circuit until then but will continue to recuse herself from cases.